Heart-to-Heart’s Lessons in Nonviolent Communication Showed Him the Path from Armed Robbery to Redemption
By Christopher Biddle, Heart-to-Heart Volunteer
May 2021
Heart-to-Heart News Merchantville, NJ

Inserted here: calculated crystals.
=====
The following is a PBE+U calculation of a relaxed NaVClO2 crystal, from Alexandria via LeMat-Bulk.

Lattice parameters (Å, degrees): 3.732 6.487 7.701 98.65 90.00 90.00
Atoms (fractional coordinates):
Cl: 0.750 0.444 0.280
O: 0.250 0.036 0.675
O: 0.750 0.893 0.930
O: 0.750 0.964 0.325
Na: 0.750 0.239 0.595
V: 0.250 0.912 0.851
Na: 0.250 0.761 0.405
O: 0.250 0.107 0.070
Cl: 0.250 0.556 0.720
V: 0.750 0.088 0.149

Computed properties:
total magnetization: 2.00 Bohr magnetons per cell
energy: -5.949 eV/atom
SG: P2_1/m, No. 11
N(E_F): 0.000 states/eV/atom

~~~~~

[1]
Density functional theory data (PBE) for PrSm3Se4 after structural relaxation.

Unit cell a=4.1550 b=4.1550 c=28.0160 alpha=90.00 beta=90.00 gamma=120.00
Space group P6_3/mmc (No. 194)
Symmetry-distinct sites (fractional):
Pr 0.3333 0.6667 0.2500 (multiplicity 2)
Sm 0.0000 0.0000 0.0000 (multiplicity 2)
Sm 0.3333 0.6667 0.6225 (multiplicity 4)
Se 0.0000 0.0000 0.1837 (multiplicity 4)
Se 0.3333 0.6667 0.0616 (multiplicity 4)

Properties
- Total energy: -5.93 eV/atom
- Mass density: 7.20 g/cm3
- V: 418.9 Å³ per cell
- DOS at the Fermi energy: 10.071 states/eV per cell
- Polymorph energy (0 for the lowest one): 5 meV per atom
- Uncorrected formation energy: -1816 meV/atom


[2]
Density functional theory data (PBE) for MgSc2Pb4 after structural relaxation.

Unit cell a=19.604 b=3.506 c=6.072 alpha=90.00 beta=107.52 gamma=90.00
Space group C2/m (No. 12)
Symmetry-distinct sites (fractional):
Mg 0.000 0.000 0.000 (multiplicity 2)
Sc 0.246 0.500 0.735 (multiplicity 4)
Pb 0.114 0.000 0.460 (multiplicity 4)
Pb 0.124 0.500 0.963 (multiplicity 4)

Properties
- Total energy: -4.25 eV/atom
- Mass density: 7.87 g/cm3
- V: 398.0 Å³ per cell
- DOS at the Fermi energy: 10.285 states/eV per cell
- ΔE_f: -9 kJ per mole of atoms


[3]
Density functional theory data (PBE) for NbNi3Br after structural relaxation.

Unit cell a=4.653 b=4.653 c=4.653 alpha=90.00 beta=90.00 gamma=90.00
Space group Pm-3m (No. 221)
Symmetry-distinct sites (fractional):
Nb 0.000 0.000 0.000 (multiplicity 1)
Ni 0.000 0.000 0.500 (multiplicity 3)
Br 0.500 0.500 0.500 (multiplicity 1)

Properties
- Total energy: -4.46 eV/atom
- Mass density: 5.75 g/cm3
- V: 100.8 Å³ per cell
- DOS at the Fermi energy: 5.695 states/eV per cell
- Polymorph energy (0 for the lowest one): 306 meV per atom
- Uncorrected formation energy: 1356 meV/atom

~~~~~

Here is an optimized crystal structure of ErHfCS from OQMD. Energies are from PBE.

- M_tot: 0.001 μB/atom
- VASP energy: -66.11 eV/cell
- ΔE to the lowest computed polymorph: 0.06 eV/f.u.

Cell and atoms, written as POSCAR:
```
ErHfCS
1.0
-0.8333 3.0193 1.5544
-2.4850 -1.9167 -1.5421
-1.9717 -6.0534 10.7013
C Er Hf S
2 2 2 2
Direct
0.0000 0.0000 0.2675
0.0000 0.0000 0.7325
0.6667 0.3333 0.1510
0.6667 0.3333 0.8490
0.3333 0.6667 0.3560
0.3333 0.6667 0.6440
0.3333 0.6667 0.0000
0.6667 0.3333 0.5000
```


Here is an optimized crystal structure of ErHf3C2Se2 from OQMD. Energies are from PBE.
=====

Khalil Williams is a modern-day prophet in a concrete wilderness. The sidewalks are his church.
Williams preaches the gospel of compassion, understanding and conflict resolution to at-risk youth—and anyone else who will listen— in the East Bronx.
His early years took him down a violent path that led him to a federal prison in South Jersey for armed robbery.
Today, he walks the same streets he did as a gang member, but now he seeks to deter others from taking the same path. Life behind bars, for all of its difficulties, gave Williams a rare opportunity. Thanks to the work of Heart-to-Heart, a nonprofit based in Merchantville, NJ, he learned about another way of life, one based on the nonviolent teachings of Mahatma Gandhi, the Rev. Dr. Martin Luther King and Marshall Rosenberg.
They offer combined workshops in yoga, meditation and Nonviolent Communication. In its stripped-down essence, this is the ability to listen and speak from the heart without judgement—and to find peaceful solutions to conflicts. Prison life is stressful, but it is also boring, and Williams was profoundly bored as he neared the end of his eight year sentence.

== Records of crystals, as found in the file ==
<<<
1.
# K2Ag2SnSe4

K2Ag2SnSe4 after structural relaxation (PBEsol, the Alexandria database).

The uncorrected formation energy is -608 meV/atom. For the mass density, the calculation gives 4.98 Mg/m³. The value obtained for the total magnetic moment is 0.00 Bohr magnetons per cell.

It has space group P2/c (No. 13), with a = 7.4919 Å, b = 5.7862 Å, c = 12.2565 Å, α = 90.00°, β = 113.98° and γ = 90.00°. The inequivalent atoms are K at (0.0000, 0.0000, 0.0000), K at (0.0000, 0.4798, 0.2500), Ag at (0.5003, 0.2497, 0.0246), Sn at (0.5000, 0.2500, 0.7500), Se at (0.2622, 0.0246, 0.8107) and Se at (0.2627, 0.4784, 0.5721).

***

2.
# K3AgSn3Se8

K3AgSn3Se8 after structural relaxation (PBEsol, the Alexandria database).

The uncorrected formation energy is -637 meV/atom. For the mass density, the calculation gives 4.67 Mg/m³. The value obtained for the total magnetic moment is 0.00 Bohr magnetons per cell.
>>>

When he heard Heart-to-Heart was offering meditation, a long-time interest of his, he signed up. The program offered yoga and Nonviolent Communication workshops as well. That was OK with him. At first, he was skeptical. As a gang member, he understood vengeance. But feelings and emotions? The regular practice of meditation and Nonviolent Communications soon reached deep into Williams’ heart.
He stopped resisting and fully embraced a new language and a new way of living. He had taken his first steps to becoming a peace leader.
Peace Leaders
“Heart-to-Heart is preparing a new generation of Peace Leaders, people who are called to be a healing presence in the world.” Steve Tumolo, Executive Director and Co-Founder of Heart-to-Heart Inc.
Heart-to-Heart trains Peace Leaders. This is a principal mission of the South Jersey nonprofit, which also has a presence in Philadelphia, Maryland, and Massachusetts. Executive Director Tumolo and his team are now expanding their work from prisons into schools, workplaces and families.
Wherever disagreements flare up and feelings run high, wherever discussion gives way to shouting and hurt, lessons of the heart are needed. This is where Nonviolent Communication, developed by Dr. Marshall Rosenberg, comes in.
The goal of Nonviolent Communication is to listen, respect, identify needs, and find solutions. It’s all about peace.
“Peace is not simply the absence of conflict. It’s also a deep desire we have,” says Tumolo, who brought his program from New Mexico to South Jersey in 2008.
“Human beings come into life with core desires of the heart. We all want to be loved, to be respected, to have freedom. We are hard-wired for peace.”
These principles are developed in the book “Nonviolent Communication: A Language of Life”, written by psychologist Marshall Rosenberg, who was inspired by the lives and works of Gandhi and Dr. King. Heart-to-Heart primarily seeks to help the marginalized, those who have suffered physical and emotional trauma due to poverty, discrimination and like circumstances.
Their very survival often hinges on their ability to overcome big obstacles and conflicts. Heart-to-Heart’s newest program is called Heart-to-Heart Families. It brings the practice of Nonviolent Communication into the home. The nonprofit is also taking its message of peace into schools and workplaces. Oftentimes, Heart-to-Heart’s “graduates” carry their message of peace into their broader communities. These individuals are called peace leaders.
“Peace leaders are returning citizens, some of whom have spent decades in prisons and are now leading a path to peace in their communities, workplace, schools and homes,” Tumolo explains. Our peace leaders are survivors of violence and trauma, and our peace leaders are moms and dads, sowing the seeds of peace as they raise their children.”

Pull of the Street
Williams early life foreshadowed his time on the streets. His mother died when he was five. His father cared about him, but he was a drug addict, a big-time hustler and a restless rolling stone.
“The street just ate him up,” Williams recalls. Williams was taken in by his mother’s sister. She cared for him. She tried to keep him from the streets.
But he looked up to her boys, his older cousins. They were hard core. They worked the angles and brought in “loads of money.”
“They were already in the streets,” Williams says.
“This was the soil I was coming up in.” As a boy, he had a love affair with words. He liked to read, and he wrote stories about characters he made up in his head.
He had learned love and kindness from his mother.
He had learned about the importance of caring from his father, flawed as it was.
He had learned about benevolence and respect for family from his aunt. But the pull of the street was too strong. As a 12-year-old, he eavesdropped on his cousins. Their stories excited him. He later joined a street gang. Looking back on these years, Williams said the good he had learned as a boy “was submerged on the streets.” “I forgot about the fundamental part of me. The fundamental part was long gone. I was intrigued by everything that shined—the illusion of all that was going on around me.”
Williams’ career as a gang member came to an abrupt halt when he was arrested for armed robbery, convicted and sent to federal prison in his late 20s. Even before his sentencing, he realized the pain he had caused. While awaiting his turn in a Bronx courtroom, he saw a judge “give the hammer” to a young black teenager while a woman watching openly wept. “In that moment, what I saw was myself at that age in another courtroom in the very same building,” Williams recalls. Then and there, he decided to “do something” to change his life.
That something turned out to be the course in meditation, yoga and Nonviolent Communication offered by Heart-to-Heart at the federal prison. “I learned so much about myself,” Williams says. “As a result of that, it gave me an understanding that I’m not the only person in the equation. I need to consider how others might feel in an experience.”
Back on the Street
Following his release from prison, Williams stayed in touch with Heart-to-Heart, who had helped him reach back into his heart to recover his real self. He is working the streets again, but in a whole new way.

### Records of crystals, kept here for reference
=====
# CaLa2Ir2

A relaxed structure of CaLa2Ir2 (PBEsol, the Alexandria database).

CIF file:
```
data_CaLa2Ir2
_space_group_name_H-M_alt 'P 1'
_space_group_IT_number 1
_space_group_name_Hall 'P 1'
_cell_length_a 3.8942
_cell_length_b 7.8816
_cell_length_c 7.8816
_cell_angle_alpha 90.00
_cell_angle_beta 90.00
_cell_angle_gamma 90.00
loop_
_atom_site_label
_atom_site_type_symbol
_atom_site_fract_x
_atom_site_fract_y
_atom_site_fract_z
La1 La 0.5000 0.1571 0.6571
Ir1 Ir 0.0000 0.8614 0.6386
Ca1 Ca 0.0000 0.0000 0.0000
La2 La 0.5000 0.3429 0.1571
La3 La 0.5000 0.6571 0.8429
Ca2 Ca 0.0000 0.5000 0.5000
Ir2 Ir 0.0000 0.6386 0.1386
La4 La 0.5000 0.8429 0.3429
Ir3 Ir 0.0000 0.3614 0.8614
Ir4 Ir 0.0000 0.1386 0.3614
```

Summary:
energy relative to the elements = -0.51 eV/atom
V = 242 Å³ per cell
crystal system = tetragonal

***

# Ca2LaIr

A relaxed structure of Ca2LaIr (PBEsol, the Alexandria database).

CIF file:
```
data_Ca2LaIr
_space_group_name_H-M_alt 'P 1'
_space_group_IT_number 1
_space_group_name_Hall 'P 1'
_cell_length_a 3.7987
_cell_length_b 4.2493
_cell_length_c 8.2064
_cell_angle_alpha 105.00
_cell_angle_beta 90.00
_cell_angle_gamma 90.00
loop_
_atom_site_label
_atom_site_type_symbol
_atom_site_fract_x
_atom_site_fract_y
_atom_site_fract_z
Ca1 Ca 0.5000 0.4144 0.8288
La1 La 0.5000 0.7393 0.4785
Ca2 Ca 0.0000 0.0845 0.1690
Ir1 Ir 0.0000 0.2676 0.5352
```

Summary:
energy relative to the elements = -0.31 eV/atom
V = 128 Å³ per cell
crystal system = orthorhombic

***

# CaLa2Ir

A relaxed structure of CaLa2Ir (PBEsol, the Alexandria database).

CIF file:
```
data_CaLa2Ir
_space_group_name_H-M_alt 'P 1'
_space_group_IT_number 1
_space_group_name_Hall 'P 1'
_cell_length_a 3.8229
_cell_length_b 4.3514
_cell_length_c 8.0867
_cell_angle_alpha 105.61
_cell_angle_beta 90.00
_cell_angle_gamma 90.00
loop_
_atom_site_label
_atom_site_type_symbol
_atom_site_fract_x
_atom_site_fract_y
_atom_site_fract_z
Ir1 Ir 0.5000 0.6324 0.2648
Ca1 Ca 0.0000 0.7911 0.5822
La1 La 0.0000 0.1129 0.2258
La2 La 0.5000 0.4561 0.9122
```

Summary:
energy relative to the elements = -0.26 eV/atom
V = 130 Å³ per cell
distance to the lowest polymorph of the same formula = 113 meV/atom
crystal system = orthorhombic

***

# CaLaIr

A relaxed structure of CaLaIr (PBEsol, the Alexandria database).

CIF file:
```
data_CaLaIr
_space_group_name_H-M_alt 'P 1'
_space_group_IT_number 1
_space_group_name_Hall 'P 1'
_cell_length_a 3.4973
_cell_length_b 3.4973
_cell_length_c 7.1769
_cell_angle_alpha 104.10
_cell_angle_beta 104.10
_cell_angle_gamma 90.00
loop_
_atom_site_label
_atom_site_type_symbol
_atom_site_fract_x
_atom_site_fract_y
_atom_site_fract_z
Ca1 Ca 0.0402 0.0402 0.0803
La1 La 0.2870 0.2870 0.5739
Ir1 Ir 0.6729 0.6729 0.3458
```

Summary:
energy relative to the elements = -0.37 eV/atom
V = 82 Å³ per cell
distance to the lowest polymorph of the same formula = 39 meV/atom
crystal system = tetragonal

***

# Ca3LaMn2Ir2O12
=====

He no longer believes in taking an eye for an eye. Today, he seeks to replace acts of violence with acts of peace. He is guided by a strong belief in God and the common humanity of all people. He is married and the father of a three-year-old boy.
He started a nonprofit called I Am Magic that helps formerly incarcerated men and women find jobs. He works with another nonprofit called Bronx Connection that responds to street violence. Williams will pull up to the scene of a shooting and speak out against it.
He also acts as a mediator. “I do mediation when it comes to gang wars. I advocate for peace and some kind of common ground between two parties,” he says. “I just resolved something in my childhood neighborhood. I helped resolve a long-standing gang dispute.”
Williams’ idea of success is helping someone. He also counsels at-risk young men in their late teens to mid-20s. He coaches them, shows them another way, so they won’t get pulled into the streets. He relates easily to these young men.
He has credibility. As a former gang member who spent time behind bars, “my story is a little more believable.” He can read their words and body language, knows when they might be ready to listen. Then he encourages them to express themselves creatively, whether through music, dance or the arts.
“Once you have their attention, they can relate with you,” Williams says. “From there, everything is about self-actualization. I’m not teaching them to be selfish, but to believe in themselves. My thing is to hone in on their creative skills. Then a person is able to see: ‘I am able to do this. This is possible.”
He loves to read. He keeps a well-thumbed copy of Dr. Rosenberg’s book on Nonviolent Communication, which he has read and re-read. He has also written five short stories, a rekindling of his boyhood love affair with words. He hopes to turn these stories into street plays to share the power of what he likes to call “nonviolent expression.” “The streets are my stage. I have an abundance of places to share my story,” Williams says. “We’re going to be giving New York a magic show.”